back after 3 months of constant crazy.

Had a rough last few months.March 7th I started a new job with a fantastic client. She came further than her Dr's thought she ever would have to the point of walking and doing things independantly. She had come home in a wheel chair and we were told she would never walk without assistance and a walker. After almost 2 months and fantastic progress she had to be rushed to the hospital by ambulence. She was not breathing and unresponsive for over 45 minutes when her heart was restarted. Anyone who knows anything about the brain knows that after just minutes of oxygen depravation cells begin to die. After 3 days of sitting by her side and holding her lifeless hand she was finally allowed to rest. May 6th she passed. Not only was she a client but she was also a family member. of sorts. She was a ward of the state and in a life sharing program where she lived in almost a foster type setting in the home of a lifesharing provider. Her lifesharing provider is my dad's girlfriend. It ws very hard losing her for myself and my daughters who were with me 1-2 days a week while I worked.

Records of crystals that have nothing to do with the page:
____________
1.
5
Lattice="6.835 0.000 0.000 0.000 6.835 0.000 0.000 0.000 3.343" Properties=species:S:1:pos:R:3 comment="PBE-GGA SbI2NCl, optimized geometry" dft_energy_ev_per_atom=-2.33 spacegroup=P4/mmm pbc="T T T"
I 0.000 3.418 0.000
I 3.418 0.000 0.000
Sb 3.418 3.418 1.671
Cl 0.000 0.000 0.000
N 0.000 0.000 1.671

---

2.
4
Lattice="-0.805 -2.826 -0.635 3.595 -0.620 -1.797 2.260 -1.798 5.140" Properties=species:S:1:pos:R:3 comment="PBE-GGA TlMoW2, optimized geometry" dft_energy_ev_per_atom=-9.11 spacegroup=Pmmm formation_enthalpy_0k_ev_per_atom=0.67 pbc="T T T"
Mo 1.960 -2.173 0.069
Tl 3.090 -3.072 2.639
W 0.093 -0.074 0.212
W 1.036 -0.825 2.358

---

3.
12
Lattice="-5.253 4.183 -2.054 -0.340 -6.910 -1.200 -1.108 0.042 6.919" Properties=species:S:1:pos:R:3 comment="PBE-GGA Ce2PmDy3P6, optimized geometry" dft_energy_ev_per_atom=-6.81 spacegroup=C2/m formation_enthalpy_0k_ev_per_atom=-1.57 pbc="T T T"
P -0.869 -2.549 1.075
Dy -4.992 2.363 1.547
Pm 0.000 0.000 0.000
P -5.833 -0.136 2.589
Dy -1.709 -5.049 2.118
P -4.177 -3.876 2.877
P -4.465 -2.029 -0.673
P -2.237 -0.657 4.337
Ce -1.977 -3.215 -1.485
Ce -3.616 0.487 -1.770
P -2.525 1.190 0.787
Dy -3.351 -1.343 1.832

---

4.
8
Lattice="-0.884 -0.575 -3.712 -1.403 -2.366 2.706 -17.944 13.193 2.229" Properties=species:S:1:pos:R:3 comment="PBE-GGA MnHgBr2, optimized geometry" dft_energy_ev_per_atom=-3.77 spacegroup=P6_3/mmc pbc="T T T"
Br -11.249 6.322 -0.307
Mn -8.972 6.596 1.114
Mn 0.000 0.000 0.000
Hg -5.716 1.529 1.124
Br -2.450 -0.872 0.718
Br -17.780 11.124 0.505
Hg -14.515 8.723 0.099
Br -8.982 3.931 1.530
____________

Then I lost my grandmother in May which was devistating since I was very close with her. I am still very saddened by her death to the point I may need some counciling. The same day she died My husband and I renewed our wedding vows. We celebrated 10 years of marriage in May.

In June my daughters turned 5. They are quickly growning into big girls. I love them and my husband with all my heart.

I am still in college although I took the summer off to focus on things. Working a full time and a part time job as well.

Just invested in a Wii for the rainy days and got Just dance for my birthday from my sister. Gotta get the pounds off!!

# Inserted here: materials data
/*
Entry 1:
A PBEsol-optimized structure of SrOsPt2, computed with meta-GGA SCAN.

a = 4.5398 Å, b = 4.5398 Å, c = 6.3943 Å
α = 96.85°, β = 96.85°, γ = 35.65°
With the nearest neighbours (Å) after each atom.
Sites, in units of the cell vectors:
1 Sr 0.0000 0.0000 0.0000  2 Sr 2.78, 2 Pt 3.10
2 Os 0.5000 0.5000 0.5000  6 Pt 2.63-2.66, 2 Os 2.78
3 Pt 0.2433 0.2433 0.6816  3 Os 2.63-2.66, 4 Pt 2.72-2.78
4 Pt 0.7567 0.7567 0.3184  3 Os 2.63-2.66, 4 Pt 2.72-2.78

**DOS(E_F)**: 3.0 states/eV/f.u.
**E**: -58.491 eV/atom
**Relative energy among the computed polymorphs**: 91.8 meV/atom
**Volume**: 19.1 Å³/atom
**SG**: C2/m, No. 12


Entry 2:
A PBEsol-optimized structure of ZrCdAu, computed with meta-GGA SCAN.

a = 4.7251 Å, b = 4.7251 Å, c = 2.9281 Å
α = 90.00°, β = 90.00°, γ = 120.00°
With the nearest neighbours (Å) after each atom.
Sites, in units of the cell vectors:
1 Zr 0.0000 0.0000 0.0000  2 Zr 2.93, 6 Cd 3.10, 6 Au 3.10
2 Cd 0.6667 0.3333 0.5000  3 Au 2.73, 2 Cd 2.93
3 Au 0.3333 0.6667 0.5000  3 Cd 2.73, 2 Au 2.93

**DOS(E_F)**: 1.5 states/eV/f.u.
**E**: -43.891 eV/atom
**Volume**: 18.9 Å³/atom
**SG**: P-6m2, No. 187


Entry 3:
A PBEsol-optimized structure of KTl2FeF, computed with meta-GGA SCAN.

a = 5.4818 Å, b = 5.4818 Å, c = 3.9707 Å
α = 90.00°, β = 90.00°, γ = 90.00°
With the nearest neighbours (Å) after each atom.
Sites, in units of the cell vectors:
1 K 0.0000 0.0000 0.0000  8 Tl 3.38
2 Tl 0.0000 0.5000 0.5000  2 Fe 2.74
3 Tl 0.5000 0.0000 0.5000  2 Fe 2.74
4 Fe 0.5000 0.5000 0.5000  2 F 1.99
5 F 0.5000 0.5000 0.0000  2 Fe 1.99

**DOS(E_F)**: 3.5 states/eV/f.u.
**E**: -35.366 eV/atom
**Volume**: 23.9 Å³/atom
**E_form (uncorrected)**: -0.423 eV per atom
**SG**: P4/mmm, No. 123


Entry 4:
A PBEsol-optimized structure of Li2CuSiO4, computed with meta-GGA SCAN.

a = 6.2313 Å, b = 5.2636 Å, c = 4.8564 Å
α = 90.00°, β = 90.00°, γ = 90.00°
With the nearest neighbours (Å) after each atom.
Sites, in units of the cell vectors:
1 Li 0.2491 0.1688 0.0000  4 O 1.92-1.97
2 Li 0.2509 0.8312 0.5000  4 O 1.92-1.97
3 Li 0.7491 0.8312 0.5000  4 O 1.92-1.97
4 Li 0.7509 0.1688 0.0000  4 O 1.92-1.97
5 Cu 0.0000 0.6883 0.0107  4 O 1.93-2.03
6 Cu 0.5000 0.3117 0.5107  4 O 1.93-2.03
7 Si 0.0000 0.3412 0.4904  4 O 1.64-1.65
8 Si 0.5000 0.6588 0.9904  4 O 1.64-1.65
9 O 0.0000 0.3347 0.1523  1 Si 1.64
10 O 0.0000 0.6383 0.5967  1 Si 1.65
11 O 0.2155 0.1895 0.5983  1 Si 1.65
12 O 0.2845 0.8105 0.0983  1 Si 1.65
13 O 0.5000 0.3617 0.0967  1 Si 1.65
14 O 0.5000 0.6653 0.6523  1 Si 1.64
15 O 0.7155 0.8105 0.0983  1 Si 1.65
16 O 0.7845 0.1895 0.5983  1 Si 1.65

**DOS(E_F)**: 0.0 states/eV/f.u.
**E**: -9.096 eV/atom
**Relative energy among the computed polymorphs**: 9.3 meV/atom
**Volume**: 10.0 Å³/atom
**E_form (uncorrected)**: -2.231 eV per atom
**SG**: Pmn2_1, No. 31


Entry 5:
A PBEsol-optimized structure of GaRe2Se, computed with meta-GGA SCAN.

a = 4.3229 Å, b = 4.3229 Å, c = 4.3229 Å
α = 60.00°, β = 60.00°, γ = 60.00°
With the nearest neighbours (Å) after each atom.
*/

I am down to a comfortable size 8 in jeans although idk how since I gained back 15 lbs from eating crappy food. So, all in all Things are starting to smooth out but I need some encouragement!

**Misplaced calculated crystals:**
Density functional theory data (PBE) for a relaxed structure of ReGeSb.

Summary:
DFT total energy (eV/atom): -6.552
Spin magnetization (μB/f.u.): 0.0

Cell lengths 6.259, 6.259, 6.259 Å; angles 90.00, 90.00, 90.00 degrees
Space group F-43m (No. 216)
One atom of each set of equivalent atoms:
Re: 0.000 0.000 0.000
Ge: 0.250 0.250 0.750
Sb: 0.250 0.250 0.250
**Back to the text:**


  • Pam3
    Pam3 Posts: 1,687 Member
    ou're back thats what important.....good luck
  • gabbygirl37_2001
    gabbygirl37_2001 Posts: 93 Member
    I can relate....I too have had some crazy months recently. Lets jump back in together! we can make this work!
  • mmccullough2
    mmccullough2 Posts: 17 Member
    Hey, regret your loss, welcome back. It's always tough when you've been that busy and then you've got a gap. It take a moment or two to adjust. I'm glad you are back.
  • Thanks everyone. I have to get back on track. Was almost to 40 lbs and $@#%... I am disappointed in myself mostly. My kids need a good role model and not sticking with my goal and keeping healthy is not being a good role model. I am, however, only human. So, time for this chick to get back on the wagon and back to my goal.